Record 1
DFT (ωB97M-V with the def2-TZVPD basis set) results for a structure of composition C15H23BMnN6Si.

LUMO energy (alpha / beta) = -8.47 / -10.19 eV
Spin multiplicity = 6
HOMO-LUMO gap (alpha / beta) = 6.499 / 4.821 eV
Net charge = +2

Atoms and positions in Å:
1 C -2.174 -0.129 -1.431
2 N -0.972 0.475 -1.283
3 N -0.279 0.304 -2.477
4 C -1.109 -0.274 -3.381
5 C -2.317 -0.574 -2.757
6 B 1.132 0.877 -2.821
7 N 1.305 2.227 -2.050
8 N 0.588 2.627 -0.907
9 C 0.849 3.949 -0.723
10 C 1.650 4.424 -1.776
11 C 1.883 3.329 -2.595
12 Mn -0.775 1.683 0.331
13 N 2.281 -0.254 -2.941
14 N 2.876 -0.927 -1.874
15 C 3.729 -1.829 -2.388
16 C 3.717 -1.763 -3.808
17 C 2.791 -0.756 -4.107
18 H 4.319 -2.509 -1.779
19 H 2.491 -0.354 -5.066
20 H 4.298 -2.354 -4.494
21 H 1.077 1.210 -3.997
22 H 2.349 3.281 -3.571
23 H -0.779 -0.387 -4.405
24 H 1.971 5.442 -1.919
25 H -3.185 -1.031 -3.197
26 H 0.441 4.508 0.103
27 H -2.839 -0.207 -0.579
28 H 0.880 0.775 0.598
29 C 0.902 1.443 1.479
30 H 1.819 2.030 1.376
31 H 0.044 2.211 1.569
32 H 0.868 0.808 2.369
33 C -0.337 -2.424 4.334
34 Si -1.964 -1.746 3.700
35 C -2.927 -3.240 3.139
36 C -2.841 -0.781 5.035
37 C -1.739 -0.507 2.358
38 C -1.544 0.446 1.587
39 H -0.556 -3.019 5.231
40 H 0.367 -1.630 4.609
41 H 0.154 -3.077 3.601
42 H -3.371 -3.754 4.002
43 H -3.731 -2.936 2.459
44 H -2.278 -3.950 2.610
45 H -2.168 0.013 5.382
46 H -3.699 -0.302 4.548
47 H -3.195 -1.348 5.904

Mulliken atomic charge list, values in e, 8 entries: C 0.00; N -0.26; N 0.32; C -0.05; C -1.11; B -0.21; N 0.02; N 0.23

=====

Record 2
DFT (ωB97M-V with the def2-TZVPD basis set) results for a structure of composition C15H23BaF6O2PS3.

LUMO energy (alpha / beta) = 2.12 / 2.12 eV
Spin multiplicity = 2
HOMO-LUMO gap (alpha / beta) = 5.408 / 6.258 eV
Net charge = -1
Energy above the lowest of the compared OMol25 structures with the same formula, charge and spin = 74.8 kJ/mol

Atoms and positions in Å:
1 Ba -1.465 1.149 0.628
2 C 2.349 -6.197 -0.016
3 C 2.198 -4.718 -0.271
4 C 1.773 -3.866 0.749
5 C 1.607 -2.506 0.537
6 C 1.884 -2.000 -0.729
7 C 2.293 -2.820 -1.766
8 C 2.459 -4.181 -1.528
9 S 1.646 -0.296 -1.055
10 C 2.884 0.369 -0.018
11 O 0.315 0.115 -0.378
12 H 2.587 -6.395 1.030
13 H 3.138 -6.629 -0.634
14 H 1.422 -6.726 -0.248
15 H 1.566 -4.269 1.736
16 H 1.281 -1.851 1.344
17 H 2.486 -2.405 -2.749
18 H 2.785 -4.831 -2.333
19 H 2.633 0.117 1.010
20 H 2.864 1.450 -0.161
21 H 3.844 -0.051 -0.323
22 C -0.689 -1.324 6.070
23 O 0.289 -0.961 5.088
24 C -0.075 -0.139 4.086
25 S 1.184 0.260 2.998
26 S -1.648 0.467 4.014
27 H -0.179 -2.032 6.720
28 H -1.560 -1.779 5.606
29 H -1.016 -0.456 6.636
30 F -2.695 -0.020 -1.297
31 P -4.270 -0.044 -0.742
32 F -3.760 1.061 0.452
33 F -5.720 -0.011 -0.114
34 F -3.794 -1.205 0.266
35 F -4.575 1.198 -1.667
36 F -4.673 -1.076 -1.867
37 C -0.383 5.553 -1.962
38 C -0.650 4.052 -1.801
39 C 0.601 3.297 -2.269
40 C -1.816 3.677 -2.731
41 C -1.016 3.642 -0.349
42 H -0.103 5.823 -2.991
43 H 0.429 5.868 -1.296
44 H -1.280 6.122 -1.692
45 H 0.861 3.536 -3.312
46 H 0.440 2.213 -2.208
47 H 1.459 3.551 -1.635
48 H -1.664 4.079 -3.745
49 H -2.761 4.069 -2.344
50 H -1.932 2.591 -2.818
51 H -1.551 4.527 0.080

Mulliken atomic charge list, values in e, 8 entries: Ba 1.86; C -1.44; C 0.86; C -0.85; C -0.25; C 0.52; C -0.48; C -0.63

=====

Record 3
DFT (ωB97M-V with the def2-TZVPD basis set) results for a cluster of 3 separate species, C15H23BrN2O in total.

LUMO energy = 0.75 eV
Spin multiplicity = 1
HOMO-LUMO gap = 8.989 eV
Net charge = 0

Atoms and positions in Å:
1 Br -3.238 -1.636 2.033
2 C -1.723 -2.132 0.902
3 C -1.607 -1.196 -0.294
4 C -0.965 0.130 0.104
5 C -0.439 1.030 -1.047
6 C -0.857 0.696 -2.460
7 C 0.142 -0.343 -2.945
8 C 1.355 -0.069 -2.044
9 O 0.974 0.948 -1.106
10 H -1.898 -3.150 0.586
11 H -0.840 -2.083 1.521
12 H -2.612 -1.046 -0.667
13 H -1.029 -1.730 -1.040
14 H -1.709 0.692 0.661
15 H -0.126 -0.077 0.756
16 H -0.812 2.028 -0.830
17 H -1.912 0.523 -2.638
18 H -0.647 1.587 -3.055

Now duplicate everything above word for word.

Record 1
DFT (ωB97M-V with the def2-TZVPD basis set) results for a structure of composition C15H23BMnN6Si.

LUMO energy (alpha / beta) = -8.47 / -10.19 eV
Spin multiplicity = 6
HOMO-LUMO gap (alpha / beta) = 6.499 / 4.821 eV
Net charge = +2

Atoms and positions in Å:
1 C -2.174 -0.129 -1.431
2 N -0.972 0.475 -1.283
3 N -0.279 0.304 -2.477
4 C -1.109 -0.274 -3.381
5 C -2.317 -0.574 -2.757
6 B 1.132 0.877 -2.821
7 N 1.305 2.227 -2.050
8 N 0.588 2.627 -0.907
9 C 0.849 3.949 -0.723
10 C 1.650 4.424 -1.776
11 C 1.883 3.329 -2.595
12 Mn -0.775 1.683 0.331
13 N 2.281 -0.254 -2.941
14 N 2.876 -0.927 -1.874
15 C 3.729 -1.829 -2.388
16 C 3.717 -1.763 -3.808
17 C 2.791 -0.756 -4.107
18 H 4.319 -2.509 -1.779
19 H 2.491 -0.354 -5.066
20 H 4.298 -2.354 -4.494
21 H 1.077 1.210 -3.997
22 H 2.349 3.281 -3.571
23 H -0.779 -0.387 -4.405
24 H 1.971 5.442 -1.919
25 H -3.185 -1.031 -3.197
26 H 0.441 4.508 0.103
27 H -2.839 -0.207 -0.579
28 H 0.880 0.775 0.598
29 C 0.902 1.443 1.479
30 H 1.819 2.030 1.376
31 H 0.044 2.211 1.569
32 H 0.868 0.808 2.369
33 C -0.337 -2.424 4.334
34 Si -1.964 -1.746 3.700
35 C -2.927 -3.240 3.139
36 C -2.841 -0.781 5.035
37 C -1.739 -0.507 2.358
38 C -1.544 0.446 1.587
39 H -0.556 -3.019 5.231
40 H 0.367 -1.630 4.609
41 H 0.154 -3.077 3.601
42 H -3.371 -3.754 4.002
43 H -3.731 -2.936 2.459
44 H -2.278 -3.950 2.610
45 H -2.168 0.013 5.382
46 H -3.699 -0.302 4.548
47 H -3.195 -1.348 5.904

Mulliken atomic charge list, values in e, 8 entries: C 0.00; N -0.26; N 0.32; C -0.05; C -1.11; B -0.21; N 0.02; N 0.23

=====

Record 2
DFT (ωB97M-V with the def2-TZVPD basis set) results for a structure of composition C15H23BaF6O2PS3.

LUMO energy (alpha / beta) = 2.12 / 2.12 eV
Spin multiplicity = 2
HOMO-LUMO gap (alpha / beta) = 5.408 / 6.258 eV
Net charge = -1
Energy above the lowest of the compared OMol25 structures with the same formula, charge and spin = 74.8 kJ/mol

Atoms and positions in Å:
1 Ba -1.465 1.149 0.628
2 C 2.349 -6.197 -0.016
3 C 2.198 -4.718 -0.271
4 C 1.773 -3.866 0.749
5 C 1.607 -2.506 0.537
6 C 1.884 -2.000 -0.729
7 C 2.293 -2.820 -1.766
8 C 2.459 -4.181 -1.528
9 S 1.646 -0.296 -1.055
10 C 2.884 0.369 -0.018
11 O 0.315 0.115 -0.378
12 H 2.587 -6.395 1.030
13 H 3.138 -6.629 -0.634
14 H 1.422 -6.726 -0.248
15 H 1.566 -4.269 1.736
16 H 1.281 -1.851 1.344
17 H 2.486 -2.405 -2.749
18 H 2.785 -4.831 -2.333
19 H 2.633 0.117 1.010
20 H 2.864 1.450 -0.161
21 H 3.844 -0.051 -0.323
22 C -0.689 -1.324 6.070
23 O 0.289 -0.961 5.088
24 C -0.075 -0.139 4.086
25 S 1.184 0.260 2.998
26 S -1.648 0.467 4.014
27 H -0.179 -2.032 6.720
28 H -1.560 -1.779 5.606
29 H -1.016 -0.456 6.636
30 F -2.695 -0.020 -1.297
31 P -4.270 -0.044 -0.742
32 F -3.760 1.061 0.452
33 F -5.720 -0.011 -0.114
34 F -3.794 -1.205 0.266
35 F -4.575 1.198 -1.667
36 F -4.673 -1.076 -1.867
37 C -0.383 5.553 -1.962
38 C -0.650 4.052 -1.801
39 C 0.601 3.297 -2.269
40 C -1.816 3.677 -2.731
41 C -1.016 3.642 -0.349
42 H -0.103 5.823 -2.991
43 H 0.429 5.868 -1.296
44 H -1.280 6.122 -1.692
45 H 0.861 3.536 -3.312
46 H 0.440 2.213 -2.208
47 H 1.459 3.551 -1.635
48 H -1.664 4.079 -3.745
49 H -2.761 4.069 -2.344
50 H -1.932 2.591 -2.818
51 H -1.551 4.527 0.080

Mulliken atomic charge list, values in e, 8 entries: Ba 1.86; C -1.44; C 0.86; C -0.85; C -0.25; C 0.52; C -0.48; C -0.63

=====

Record 3
DFT (ωB97M-V with the def2-TZVPD basis set) results for a cluster of 3 separate species, C15H23BrN2O in total.

LUMO energy = 0.75 eV
Spin multiplicity = 1
HOMO-LUMO gap = 8.989 eV
Net charge = 0

Atoms and positions in Å:
1 Br -3.238 -1.636 2.033
2 C -1.723 -2.132 0.902
3 C -1.607 -1.196 -0.294
4 C -0.965 0.130 0.104
5 C -0.439 1.030 -1.047
6 C -0.857 0.696 -2.460
7 C 0.142 -0.343 -2.945
8 C 1.355 -0.069 -2.044
9 O 0.974 0.948 -1.106
10 H -1.898 -3.150 0.586
11 H -0.840 -2.083 1.521
12 H -2.612 -1.046 -0.667
13 H -1.029 -1.730 -1.040
14 H -1.709 0.692 0.661
15 H -0.126 -0.077 0.756
16 H -0.812 2.028 -0.830
17 H -1.912 0.523 -2.638
18 H -0.647 1.587 -3.055